Could you work out how many lines underneath have the word "in" in them; a number is enough?
~~~
# CaCoTc2 (PBE-GGA, relaxed)
# Energy relative to the elements in eV/atom: 0.7452
data_CaCoTc2
_cell_length_a 7.422
_cell_length_b 7.422
_cell_length_c 5.026
_cell_angle_alpha 90.00
_cell_angle_beta 90.00
_cell_angle_gamma 90.00
_symmetry_space_group_name_H-M 'I -4 2 d'
_symmetry_Int_Tables_number 122
_symmetry_space_group_name_Hall 'I -4 2bw'
loop_
_atom_site_label
_atom_site_type_symbol
_atom_site_fract_x
_atom_site_fract_y
_atom_site_fract_z
_atom_site_occupancy
Ca1 Ca 0.000 0.000 0.000 1
Co1 Co 0.000 0.000 0.500 1
Tc1 Tc 0.187 0.250 0.625 1

---

# Ca2CoTc (PBE-GGA, relaxed)
# Energy relative to the elements in eV/atom: 0.7378
data_Ca2CoTc
_cell_length_a 2.917
_cell_length_b 4.509
_cell_length_c 6.060
_cell_angle_alpha 90.00
_cell_angle_beta 90.74
_cell_angle_gamma 90.00
_symmetry_space_group_name_H-M 'P 1 2/m 1'
_symmetry_Int_Tables_number 10
_symmetry_space_group_name_Hall '-P 2y'
loop_
_atom_site_label
_atom_site_type_symbol
_atom_site_fract_x
_atom_site_fract_y
_atom_site_fract_z
_atom_site_occupancy
Ca1 Ca 0.002 0.000 0.251 1
Co1 Co 0.500 0.500 0.500 1
Tc1 Tc 0.500 0.500 0.000 1

---

# CaCoTc4 (PBE-GGA, relaxed)
# Energy relative to the elements in eV/atom: 0.5037
data_CaCoTc4
_cell_length_a 7.374
_cell_length_b 7.374
_cell_length_c 7.374
_cell_angle_alpha 90.00
_cell_angle_beta 90.00
_cell_angle_gamma 90.00
_symmetry_space_group_name_H-M 'F -4 3 m'
_symmetry_Int_Tables_number 216
_symmetry_space_group_name_Hall 'F -4 2 3'
loop_
_atom_site_label
_atom_site_type_symbol
_atom_site_fract_x
_atom_site_fract_y
_atom_site_fract_z
_atom_site_occupancy
Ca1 Ca 0.000 0.000 0.000 1
Co1 Co 0.250 0.250 0.750 1
Tc1 Tc 0.125 0.125 0.375 1

---

Number 1: total magnetization 0.000 μB/atom, mass density 7.1 g/cm³. Number 2: total magnetization 0.443 μB/atom, mass density 4.9 g/cm³. Number 3: total magnetization 0.368 μB/atom, mass density 8.1 g/cm³.


# 1
# ZrSn2W2

A relaxed ZrSn2W2 crystal (GGA-PBE, Alexandria via LeMat-Bulk).

Cell: 7.841 7.841 3.276 Å, 90.00 90.00 90.00°
Positions (direct):
Zr  0.000  0.000  0.000
Zr  0.500  0.500  0.000
Sn  0.176  0.324  0.500
Sn  0.324  0.824  0.500
Sn  0.676  0.176  0.500
Sn  0.824  0.676  0.500
W  0.117  0.617  0.000
W  0.383  0.117  0.000
W  0.617  0.883  0.000
W  0.883  0.383  0.000

The value obtained for the energy above the lowest structure with this stoichiometry is 0 meV per atom. The value obtained for the total energy is -80.75 eV for the cell shown. The formation energy from the elements is 0.417 eV per atom. Its space-group type is P4/mbm, No. 127.

# 2
# CoNiBr2

A relaxed CoNiBr2 crystal (GGA-PBE, Alexandria via LeMat-Bulk).

Cell: 6.991 6.987 3.582 Å, 90.00 91.07 90.00°
Positions (direct):
Co  0.000  0.000  0.000
Co  0.500  0.500  0.000
Ni  0.000  0.500  0.000
Ni  0.500  0.000  0.000
Br  0.250  0.250  0.000
Br  0.250  0.750  0.000
Br  0.750  0.250  0.000
Br  0.750  0.750  0.000

The value obtained for the energy above the lowest structure with this stoichiometry is 401 meV per atom. The value obtained for the total energy is -28.83 eV for the cell shown. The calculation puts the formation energy (no corrections) at 0.45 eV per atom. Its space-group type is C2/m, No. 12.

# 3
# Ti8Ni2N

A relaxed Ti8Ni2N crystal (GGA-PBE, Alexandria via LeMat-Bulk).

Cell: 7.256 7.256 5.361 Å, 106.21 106.21 36.42°
Positions (direct):
Ti  0.015  0.015  0.263
Ti  0.207  0.207  0.789
Ti  0.363  0.363  0.557
Ti  0.417  0.417  0.098
Ti  0.583  0.583  0.902
Ti  0.637  0.637  0.443
Ti  0.793  0.793  0.211
Ti  0.985  0.985  0.737
Ni  0.187  0.187  0.213
Ni  0.813  0.813  0.787
N  0.500  0.500  0.500

The value obtained for the total energy is -86.24 eV for the cell shown. The calculation puts the formation energy (no corrections) at -0.29 eV per atom. Its space-group type is C2/m, No. 12.


1.
HoV2InO8 | PBE with a Hubbard U | relaxed Values from VASP.

Computed properties:
E	-88.3	eV per formula unit
N(E_F)	0.000	states/eV/cell
space-group type	I-4m2 (119)

Geometry as Quantum ESPRESSO input:
```
~~~
3